Could you retype the whole of the listing further down without altering anything?

/*
Record 1
Computed powder X-ray diffraction pattern
Compound: Dy2Cd3Ag2
Radiation: Cu Ka
Structure: a crystal structure in Alexandria, relaxed with GGA-PBE
Kinematic intensities with the Lorentz-polarization factor, no thermal factor.

Cell and atoms:
```
7
Lattice="2.314 -10.358 0.000 2.314 10.358 0.000 0.000 0.000 3.431" Properties=species:S:1:pos:R:3 pbc="T T T"
Dy 2.314 7.028 0.000
Dy 2.314 -7.028 0.000
Cd 0.000 0.000 0.000
Cd 2.314 1.504 1.715
Cd 2.314 -1.504 1.715
Ag 2.314 4.385 1.715
Ag 2.314 -4.385 1.715
```

Principal peaks in the range 10° ≤ 2θ ≤ 90°, by intensity:
32.8°, I 100
36.0°, I 82
36.9°, I 54
38.9°, I 41
54.7°, I 34
68.0°, I 33
66.1°, I 26
35.1°, I 26
53.4°, I 16
39.3°, I 16

Record 2
Computed powder X-ray diffraction pattern
Compound: Zn4GaAu
Radiation: Cu Ka
Structure: a crystal structure in Alexandria, relaxed with GGA-PBE
Kinematic intensities with the Lorentz-polarization factor, no thermal factor.

Cell and atoms:
```
12
Lattice="4.628 0.000 0.000 0.007 5.214 0.000 2.283 2.550 8.037" Properties=species:S:1:pos:R:3 pbc="T T T"
Zn 1.146 1.423 2.687
Zn 1.155 4.191 1.342
Zn 3.446 6.775 6.699
Zn 3.456 4.011 5.355
Zn 3.462 3.752 2.683
Zn 3.471 0.989 1.338
Zn 5.762 3.573 6.695
Zn 5.771 6.341 5.350
Ga 1.145 3.882 4.019
Ga 3.455 1.275 4.019
Au 1.162 1.581 0.005
Au 5.755 6.183 8.032
```

Principal peaks in the range 10° ≤ 2θ ≤ 90°, by intensity:
42.7°, I 100
34.4°, I 75
38.9°, I 71
11.0°, I 64
42.8°, I 52
42.5°, I 51
52.9°, I 43
40.1°, I 32
25.7°, I 19
28.0°, I 16

Record 3
Computed powder X-ray diffraction pattern
Compound: Al2Ga7
Radiation: Cu Ka
Structure: a crystal structure in Alexandria, relaxed with GGA-PBE
Kinematic intensities with the Lorentz-polarization factor, no thermal factor.

Cell and atoms:
```
9
Lattice="4.921 0.000 0.000 -2.461 4.262 0.000 0.000 0.000 7.968" Properties=species:S:1:pos:R:3 pbc="T T T"
Al 0.000 2.841 0.000
Al 2.461 1.421 0.000
Ga 0.000 0.000 0.000
Ga -0.825 1.429 5.352
Ga -1.635 2.833 2.615
Ga 1.650 0.000 5.352
Ga 0.825 1.429 2.615
Ga 3.271 0.000 2.615
Ga 1.635 2.833 5.352
```

Principal peaks in the range 10° ≤ 2θ ≤ 90°, by intensity:
38.3°, I 100
43.2°, I 69
33.7°, I 45
59.7°, I 27
76.0°, I 24
65.7°, I 19
70.4°, I 16
78.7°, I 11
11.1°, I 11
82.0°, I 10

Record 4
Computed powder X-ray diffraction pattern
Compound: Pm3TmGa2
Radiation: Cu Ka
Structure: a crystal structure in Alexandria, relaxed with GGA-PBE
Kinematic intensities with the Lorentz-polarization factor, no thermal factor.

Cell and atoms:
```
12
Lattice="5.090 0.000 0.000 0.000 9.624 0.000 0.000 0.000 6.598" Properties=species:S:1:pos:R:3 pbc="T T T"
Pm 0.000 0.447 0.000
Pm 0.000 3.212 2.238
Pm 0.000 6.412 5.537
Pm 0.000 9.177 3.299
Pm 2.545 1.728 4.666
Pm 2.545 7.896 1.367
Tm 2.545 4.310 0.299
Tm 2.545 5.314 3.598
Ga 0.000 3.396 5.418
Ga 0.000 6.228 2.118
Ga 2.545 1.423 1.521
Ga 2.545 8.201 4.820
```

Principal peaks in the range 10° ≤ 2θ ≤ 90°, by intensity:
33.0°, I 100
33.7°, I 73
35.3°, I 45
28.9°, I 30
32.3°, I 29
62.3°, I 27
49.0°, I 19
59.8°, I 19
31.0°, I 17
39.2°, I 14

Record 5
Computed powder X-ray diffraction pattern
Compound: Ba6NaH12
Radiation: Cu Ka
Structure: a crystal structure in Alexandria, relaxed with GGA-PBE
Kinematic intensities with the Lorentz-polarization factor, no thermal factor.

Cell and atoms:
```
19
Lattice="5.773 3.333 3.622 -5.773 3.333 3.622 0.000 -6.666 3.622" Properties=species:S:1:pos:R:3 pbc="T T T"
Ba -3.941 -1.292 5.534
Ba -0.852 -4.059 5.332
Ba -3.089 2.767 5.332
Ba 3.089 -2.767 5.534
Ba 0.852 4.059 5.534
Ba 3.941 1.292 5.332
Na 0.000 0.000 5.433
H -4.986 1.048 4.643
H -3.400 -3.794 6.223
H -1.509 -1.707 4.350
H 1.586 -4.842 4.643
H -2.233 0.453 6.516
H -0.724 2.160 4.350
H 0.724 -2.160 6.516
H 2.233 -0.453 4.350
H -1.586 4.842 6.223
H 1.509 1.707 6.516
H 3.400 3.794 4.643
H 4.986 -1.048 6.223
```

Principal peaks in the range 10° ≤ 2θ ≤ 90°, by intensity:
24.9°, I 100
28.8°, I 67
24.6°, I 35
48.7°, I 29
40.9°, I 26
41.4°, I 25
15.3°, I 17
48.3°, I 16
48.9°, I 13
*/

Record 1
Computed powder X-ray diffraction pattern
Compound: Dy2Cd3Ag2
Radiation: Cu Ka
Structure: a crystal structure in Alexandria, relaxed with GGA-PBE
Kinematic intensities with the Lorentz-polarization factor, no thermal factor.

Cell and atoms:
```
7
Lattice="2.314 -10.358 0.000 2.314 10.358 0.000 0.000 0.000 3.431" Properties=species:S:1:pos:R:3 pbc="T T T"
Dy 2.314 7.028 0.000
Dy 2.314 -7.028 0.000
Cd 0.000 0.000 0.000
Cd 2.314 1.504 1.715
Cd 2.314 -1.504 1.715
Ag 2.314 4.385 1.715
Ag 2.314 -4.385 1.715
```

Principal peaks in the range 10° ≤ 2θ ≤ 90°, by intensity:
32.8°, I 100
36.0°, I 82
36.9°, I 54
38.9°, I 41
54.7°, I 34
68.0°, I 33
66.1°, I 26
35.1°, I 26
53.4°, I 16
39.3°, I 16

Record 2
Computed powder X-ray diffraction pattern
Compound: Zn4GaAu
Radiation: Cu Ka
Structure: a crystal structure in Alexandria, relaxed with GGA-PBE
Kinematic intensities with the Lorentz-polarization factor, no thermal factor.

Cell and atoms:
```
12
Lattice="4.628 0.000 0.000 0.007 5.214 0.000 2.283 2.550 8.037" Properties=species:S:1:pos:R:3 pbc="T T T"
Zn 1.146 1.423 2.687
Zn 1.155 4.191 1.342
Zn 3.446 6.775 6.699
Zn 3.456 4.011 5.355
Zn 3.462 3.752 2.683
Zn 3.471 0.989 1.338
Zn 5.762 3.573 6.695
Zn 5.771 6.341 5.350
Ga 1.145 3.882 4.019
Ga 3.455 1.275 4.019
Au 1.162 1.581 0.005
Au 5.755 6.183 8.032
```

Principal peaks in the range 10° ≤ 2θ ≤ 90°, by intensity:
42.7°, I 100
34.4°, I 75
38.9°, I 71
11.0°, I 64
42.8°, I 52
42.5°, I 51
52.9°, I 43
40.1°, I 32
25.7°, I 19
28.0°, I 16

Record 3
Computed powder X-ray diffraction pattern
Compound: Al2Ga7
Radiation: Cu Ka
Structure: a crystal structure in Alexandria, relaxed with GGA-PBE
Kinematic intensities with the Lorentz-polarization factor, no thermal factor.

Cell and atoms:
```
9
Lattice="4.921 0.000 0.000 -2.461 4.262 0.000 0.000 0.000 7.968" Properties=species:S:1:pos:R:3 pbc="T T T"
Al 0.000 2.841 0.000
Al 2.461 1.421 0.000
Ga 0.000 0.000 0.000
Ga -0.825 1.429 5.352
Ga -1.635 2.833 2.615
Ga 1.650 0.000 5.352
Ga 0.825 1.429 2.615
Ga 3.271 0.000 2.615
Ga 1.635 2.833 5.352
```

Principal peaks in the range 10° ≤ 2θ ≤ 90°, by intensity:
38.3°, I 100
43.2°, I 69
33.7°, I 45
59.7°, I 27
76.0°, I 24
65.7°, I 19
70.4°, I 16
78.7°, I 11
11.1°, I 11
82.0°, I 10

Record 4
Computed powder X-ray diffraction pattern
Compound: Pm3TmGa2
Radiation: Cu Ka
Structure: a crystal structure in Alexandria, relaxed with GGA-PBE
Kinematic intensities with the Lorentz-polarization factor, no thermal factor.

Cell and atoms:
```
12
Lattice="5.090 0.000 0.000 0.000 9.624 0.000 0.000 0.000 6.598" Properties=species:S:1:pos:R:3 pbc="T T T"
Pm 0.000 0.447 0.000
Pm 0.000 3.212 2.238
Pm 0.000 6.412 5.537
Pm 0.000 9.177 3.299
Pm 2.545 1.728 4.666
Pm 2.545 7.896 1.367
Tm 2.545 4.310 0.299
Tm 2.545 5.314 3.598
Ga 0.000 3.396 5.418
Ga 0.000 6.228 2.118
Ga 2.545 1.423 1.521
Ga 2.545 8.201 4.820
```

Principal peaks in the range 10° ≤ 2θ ≤ 90°, by intensity:
33.0°, I 100
33.7°, I 73
35.3°, I 45
28.9°, I 30
32.3°, I 29
62.3°, I 27
49.0°, I 19
59.8°, I 19
31.0°, I 17
39.2°, I 14

Record 5
Computed powder X-ray diffraction pattern
Compound: Ba6NaH12
Radiation: Cu Ka
Structure: a crystal structure in Alexandria, relaxed with GGA-PBE
Kinematic intensities with the Lorentz-polarization factor, no thermal factor.

Cell and atoms:
```
19
Lattice="5.773 3.333 3.622 -5.773 3.333 3.622 0.000 -6.666 3.622" Properties=species:S:1:pos:R:3 pbc="T T T"
Ba -3.941 -1.292 5.534
Ba -0.852 -4.059 5.332
Ba -3.089 2.767 5.332
Ba 3.089 -2.767 5.534
Ba 0.852 4.059 5.534
Ba 3.941 1.292 5.332
Na 0.000 0.000 5.433
H -4.986 1.048 4.643
H -3.400 -3.794 6.223
H -1.509 -1.707 4.350
H 1.586 -4.842 4.643
H -2.233 0.453 6.516
H -0.724 2.160 4.350
H 0.724 -2.160 6.516
H 2.233 -0.453 4.350
H -1.586 4.842 6.223
H 1.509 1.707 6.516
H 3.400 3.794 4.643
H 4.986 -1.048 6.223
```

Principal peaks in the range 10° ≤ 2θ ≤ 90°, by intensity:
24.9°, I 100
28.8°, I 67
24.6°, I 35
48.7°, I 29
40.9°, I 26
41.4°, I 25
15.3°, I 17
48.3°, I 16
48.9°, I 13